This weekend I met up with five of my good friends from childhood.  Four of them have been married for many years and only two of us are divorced.  It was the type of gathering with great energy that allowed us to talk about everything. We covered many topics – life projects, work, restaurants, travel, relationships, love…

It was interesting to hear about some of the things that were said about love and relationships – especially when it was coming from those friends who got married young, and have made their marriage work against all odds because, as we all know, marriages and relationships have their ups and downs, and involve a lot of work.

Also, we all define love differently, based on our own experiences, and what we all feel is so personal, that it is hard to believe there’d be one universal definition we can all share.

Robert Sternberg, a well-known psychologist, developed a conception of love known as The Triangular Theory of Love.

According to Sternberg, any variation of love contains three components:  Intimacy, passion, and commitment.  A “perfect” relationship in Sternberg’s view should contain all three components, but the different combinations of these psychological aspects of love create eight separate permutations that cover almost all relationships.

The holy grail of relationships according to Sternberg’s permutations of love is consummate love, the ideal relationship which most people strive for. This is the love associated with the term “perfect couple”.  According to Sternberg, it is harder to maintain a consummate love than to achieve it, making its permanence uncertain.

One of my friends (divorced and single) was saying how she knows right off the bat if she’d be able to date someone or not.  She shared the outcome of her last relationship and how, even though she decided to break up, she was cool with her decision because she felt that staying longer in the relationship wouldn’t have changed the way she felt about the aspects of it that had bothered her since the beginning.

Another friend (married for more than 20 years) raised an interesting point.  She said that it is easier to keep a solid marriage if you marry the guy next door.  By this, she meant that it is easier to stay in a marriage if you marry someone who understands where you come from and shares the same values and culture.

After my last relationship and, at least based on my past experiences, I can agree with her point to a great extent.

_Unrelated to this entry: calculated molecules_
┌──
C23H21N6SbSeZn as an isolated structure. Source: OMol25; level of theory: the ωB97M-V functional and the def2-TZVPD basis.

Atoms and positions in Å:
Zn1 -0.213 0.074 0.223
C1 1.236 -2.072 -1.804
C2 2.225 -1.219 -1.073
C3 3.592 -1.357 -1.270
C4 4.469 -0.554 -0.574
C5 3.961 0.385 0.317
C6 2.594 0.493 0.483
N1 1.742 -0.305 -0.211
Sb1 1.966 2.008 1.904
C7 0.528 2.894 0.553
C8 0.439 4.271 0.489
C9 -0.314 4.849 -0.526
C10 -0.910 4.033 -1.466
C11 -0.802 2.653 -1.355
C12 -1.400 1.749 -2.394
N2 -0.119 2.101 -0.333
C13 0.598 0.710 2.953
C14 0.576 0.785 4.331
C15 -0.193 -0.130 5.045
C16 -0.880 -1.105 4.356
C17 -0.827 -1.141 2.967
C18 -1.544 -2.220 2.211
N3 -0.119 -0.226 2.283
H1 1.741 -2.791 -2.444
H2 0.604 -2.618 -1.102
H3 0.582 -1.460 -2.428
H4 3.953 -2.097 -1.970
H5 5.538 -0.653 -0.718
H6 4.630 1.026 0.876
H7 0.974 4.888 1.199
H8 -0.400 5.925 -0.602
H9 -1.453 4.456 -2.301
H10 -1.483 2.270 -3.346
H11 -0.779 0.864 -2.544
H12 -2.401 1.423 -2.114
H13 1.161 1.534 4.848
H14 -0.229 -0.094 6.126
H15 -1.452 -1.858 4.881
H16 -1.429 -3.173 2.724
H17 -2.615 -2.011 2.154
H18 -1.157 -2.333 1.200
Se1 -3.119 -3.108 -2.143
N4 -4.594 -2.333 -1.603
C19 -4.222 -1.302 -0.857
C20 -5.099 -0.380 -0.213
C21 -4.537 0.625 0.506
C22 -3.124 0.739 0.597
N5 -2.276 -0.079 0.024
C23 -2.807 -1.116 -0.716
└──

This discussion led me to reflect on an interesting and thought-provoking topic.

“The One”. 

Does “the one” really exist or is it just a myth?  Is “the one” really the perfect partner or just a fantasy of that partner we are projecting on the person we are dating?  Doesn’t this myth give people an unrealistic idea of what a relationship should be?

If you ask me to describe a perfect partner, I’d say that it is a fun, smart and kind person with whom I can be myself with, able to fulfill many aspects of my life – social, emotional, intellectual, sexual – and who is also unconditionally willing to share a life project with me.

As we get older, our expectations of relationships are set at a higher bar and we become a little obsessed with ticking boxes.  This may lead us to scratch a potentially good partner off the list who might be the right one for us.

I am not saying that my friend was wrong in breaking up with her boyfriend – I did not get to meet him or see them together.  She is a very smart and successful woman and seems to be clear about the kind of person she wants to be in a relationship with.

But, isn’t it true that sometimes we rush to make decisions related to relationships based on emotional impulses, the thought that the grass is always greener on the other side or because we think we have no time to waste?

There is also the idea that we might not suffer that much if we stay less time in a relationship, so we might as well end it early if we are not 100% sure.

In the “honeymoon” phase of relationships, we see everything perfect.  It is after three months or so when our judgment is not impaired anymore by oxytocin and we start to see and experience the real deal.

Then the hard work begins.  

This is why Sternberg affirms that it is harder to maintain a “perfect” relationship than to start one.

Luck and timing play an important role in this as well – meeting someone that could be the right one for us at a time when we are not willing to settle down or commit can be a challenge and a strong enough reason to break up a relationship.

What we want or expect from a relationship can change and evolve as we get older.  It also gets harder to meet people we actually want to date because as we age we carry more baggage, but the important thing is to be able to define what you’d want to get out of a relationship at all the different points in your life.

My friends got married young and with Colombian men, so they probably did not have time to date that much or live abroad prior to getting married.  I am sure their marriages have suffered difficult periods throughout the years, but I commend them for succeeding at making them work.

I love my friends very much and I am so happy to see them in good marriages.

I am not saying that marrying within one’s culture guarantees an everlasting bulletproof marriage.  Many of my married friends have intercultural marriages.

The point I want to make is that it is hard enough to find someone we want to date and, even if you do meet someone you like, the chances of the relationship ending in the first six months are pretty high.  Throwing different cultures into something already complicated would only make things tougher.

There is no magic formula, exact science or instructions handbook we can follow to be in that “perfect” scenario in the relationship world.  That would take away all the fun out of dating.

As helpful and accurate love theories and psychological conceptions are, love is such a subjective and complex sentiment that the love permutation that makes a person happy does not necessarily make another one happy.

My good friend Courtney always says: “It is a jungle out there” when talking about dating and meeting men, and she might be right about that.

Jokes aside, we have to accept there’ll be more than one “one”, especially after divorce and singlehood in the 40s.

I grew up believing in «the one» myth.  Even if my life experiences have shown me differently, as a traditionalist, romantic and serial monogamist, the most difficult part to stomach is that there are many “ones” out there.

I will try to not worry about ticking boxes or follow a strict timeline, and will take it easy – enjoy moments with my friends, travel, meet new people, date and get to know the person well and, most importantly, have some well deserved fun before thinking hard about whether or not it is the person I want to be in a “perfect” relationship with.